Now reproduce the notes further down unchanged.

- - -
Entry 1:
First-principles (PBE) data for an optimized crystal structure of TiCo2PRu, as listed in Alexandria via LeMat-Bulk.

Cell: 4.533 4.533 4.320 Å, 90.00 90.00 90.00°
Positions (direct):
Ti 0.000 0.000 0.000
Co 0.000 0.500 0.500
Co 0.500 0.000 0.500
P 0.500 0.500 0.000
Ru 0.500 0.500 0.500

Properties
Energy relative to the elements ... 0.855 eV per atom
Space group ... P4/mmm

=====

Entry 2:
First-principles (PBE) data for an optimized crystal structure of TmCoP2Ru, as listed in Alexandria via LeMat-Bulk.

Cell: 5.529 5.529 5.529 Å, 138.93 138.93 59.48°
Positions (direct):
Tm 0.000 0.000 0.000
Co 0.750 0.250 0.500
P 0.380 0.380 0.000
P 0.620 0.620 0.000
Ru 0.250 0.750 0.500

Properties
Energy relative to the elements ... -0.984 eV per atom
Space group ... I-4m2

=====

Entry 3:
First-principles (PBE) data for an optimized crystal structure of UCoP2Ru2, as listed in Alexandria via LeMat-Bulk.

Cell: 4.287 4.287 5.156 Å, 90.00 90.00 90.00°
Positions (direct):
U 0.000 0.000 0.000
Co 0.000 0.000 0.500
P 0.000 0.500 0.500
P 0.500 0.000 0.500
Ru 0.500 0.500 0.242
Ru 0.500 0.500 0.758

Properties
Energy relative to the elements ... -0.057 eV per atom
Space group ... P4/mmm

=====

Entry 4:
First-principles (PBE) data for an optimized crystal structure of UCo2P2Ru, as listed in Alexandria via LeMat-Bulk.

Cell: 3.812 3.812 6.559 Å, 90.00 90.00 120.00°
Positions (direct):
U 0.000 0.000 0.000
Co 0.333 0.667 0.747
Co 0.667 0.333 0.253
P 0.333 0.667 0.298
P 0.667 0.333 0.702
Ru 0.000 0.000 0.500

Properties
Energy relative to the elements ... -0.602 eV per atom
Space group ... P-3m1

=====

Entry 5:
First-principles (PBE) data for an optimized crystal structure of UCoP2Ru, as listed in Alexandria via LeMat-Bulk.

Cell: 5.639 5.639 5.639 Å, 140.23 140.23 57.51°
Positions (direct):
U 0.000 0.000 0.000
Co 0.250 0.750 0.500
P 0.383 0.383 0.000
P 0.617 0.617 0.000
Ru 0.750 0.250 0.500

Properties
Energy relative to the elements ... -0.761 eV per atom
Space group ... I-4m2

=====

Entry 6:
First-principles (PBE) data for an optimized crystal structure of U2Co3P4Ru, as listed in Alexandria via LeMat-Bulk.

Cell: 3.961 3.961 9.081 Å, 90.00 90.00 90.00°
Positions (direct):
U 0.000 0.500 0.240
U 0.500 0.000 0.760
Co 0.000 0.500 0.889
Co 0.500 0.000 0.111
Co 0.500 0.500 0.500
P 0.000 0.000 0.000
P 0.000 0.500 0.643
P 0.500 0.000 0.357
P 0.500 0.500 0.000
Ru 0.000 0.000 0.500

Properties
Energy relative to the elements ... -0.821 eV per atom
Space group ... P-4m2

=====

Entry 7:
First-principles (PBE) data for an optimized crystal structure of VCo2PRu, as listed in Alexandria via LeMat-Bulk.

Cell: 4.106 4.106 4.348 Å, 90.00 90.00 90.00°
Positions (direct):
V 0.000 0.000 0.000
Co 0.000 0.500 0.000
Co 0.500 0.000 0.000
P 0.000 0.000 0.500
Ru 0.500 0.500 0.500

Properties
Energy relative to the elements ... 1.078 eV per atom
Space group ... P4/mmm

=====

Entry 8:
First-principles (PBE) data for an optimized crystal structure of CoP2RuW, as listed in Alexandria via LeMat-Bulk.

Cell: 4.388 4.388 4.947 Å, 90.00 90.00 90.00°
Positions (direct):
Co 0.000 0.000 0.000
P 0.000 0.500 0.500
P 0.500 0.000 0.500
Ru 0.500 0.500 0.500
W 0.500 0.500 0.000

Properties
Energy relative to the elements ... 1.479 eV per atom
Space group ... P4/mmm

=====

energy relative to the elements of number 4 (UCo2P2Ru)?
-0.602 eV per atom

=====

Look up the energy relative to the elements of the eighth one.
1.479 eV per atom

=====

Which value of energy relative to the elements does entry 6 give?
-0.821 eV per atom

=====

Which of these has the lowest energy relative to the elements?
TmCoP2Ru
- - -

Entry 1:
First-principles (PBE) data for an optimized crystal structure of TiCo2PRu, as listed in Alexandria via LeMat-Bulk.

Cell: 4.533 4.533 4.320 Å, 90.00 90.00 90.00°
Positions (direct):
Ti 0.000 0.000 0.000
Co 0.000 0.500 0.500
Co 0.500 0.000 0.500
P 0.500 0.500 0.000
Ru 0.500 0.500 0.500

Properties
Energy relative to the elements ... 0.855 eV per atom
Space group ... P4/mmm

=====

Entry 2:
First-principles (PBE) data for an optimized crystal structure of TmCoP2Ru, as listed in Alexandria via LeMat-Bulk.

Cell: 5.529 5.529 5.529 Å, 138.93 138.93 59.48°
Positions (direct):
Tm 0.000 0.000 0.000
Co 0.750 0.250 0.500
P 0.380 0.380 0.000
P 0.620 0.620 0.000
Ru 0.250 0.750 0.500

Properties
Energy relative to the elements ... -0.984 eV per atom
Space group ... I-4m2

=====

Entry 3:
First-principles (PBE) data for an optimized crystal structure of UCoP2Ru2, as listed in Alexandria via LeMat-Bulk.

Cell: 4.287 4.287 5.156 Å, 90.00 90.00 90.00°
Positions (direct):
U 0.000 0.000 0.000
Co 0.000 0.000 0.500
P 0.000 0.500 0.500
P 0.500 0.000 0.500
Ru 0.500 0.500 0.242
Ru 0.500 0.500 0.758

Properties
Energy relative to the elements ... -0.057 eV per atom
Space group ... P4/mmm

=====

Entry 4:
First-principles (PBE) data for an optimized crystal structure of UCo2P2Ru, as listed in Alexandria via LeMat-Bulk.

Cell: 3.812 3.812 6.559 Å, 90.00 90.00 120.00°
Positions (direct):
U 0.000 0.000 0.000
Co 0.333 0.667 0.747
Co 0.667 0.333 0.253
P 0.333 0.667 0.298
P 0.667 0.333 0.702
Ru 0.000 0.000 0.500

Properties
Energy relative to the elements ... -0.602 eV per atom
Space group ... P-3m1

=====

Entry 5:
First-principles (PBE) data for an optimized crystal structure of UCoP2Ru, as listed in Alexandria via LeMat-Bulk.

Cell: 5.639 5.639 5.639 Å, 140.23 140.23 57.51°
Positions (direct):
U 0.000 0.000 0.000
Co 0.250 0.750 0.500
P 0.383 0.383 0.000
P 0.617 0.617 0.000
Ru 0.750 0.250 0.500

Properties
Energy relative to the elements ... -0.761 eV per atom
Space group ... I-4m2

=====

Entry 6:
First-principles (PBE) data for an optimized crystal structure of U2Co3P4Ru, as listed in Alexandria via LeMat-Bulk.

Cell: 3.961 3.961 9.081 Å, 90.00 90.00 90.00°
Positions (direct):
U 0.000 0.500 0.240
U 0.500 0.000 0.760
Co 0.000 0.500 0.889
Co 0.500 0.000 0.111
Co 0.500 0.500 0.500
P 0.000 0.000 0.000
P 0.000 0.500 0.643
P 0.500 0.000 0.357
P 0.500 0.500 0.000
Ru 0.000 0.000 0.500

Properties
Energy relative to the elements ... -0.821 eV per atom
Space group ... P-4m2

=====

Entry 7:
First-principles (PBE) data for an optimized crystal structure of VCo2PRu, as listed in Alexandria via LeMat-Bulk.

Cell: 4.106 4.106 4.348 Å, 90.00 90.00 90.00°
Positions (direct):
V 0.000 0.000 0.000
Co 0.000 0.500 0.000
Co 0.500 0.000 0.000
P 0.000 0.000 0.500
Ru 0.500 0.500 0.500

Properties
Energy relative to the elements ... 1.078 eV per atom
Space group ... P4/mmm

=====

Entry 8:
First-principles (PBE) data for an optimized crystal structure of CoP2RuW, as listed in Alexandria via LeMat-Bulk.

Cell: 4.388 4.388 4.947 Å, 90.00 90.00 90.00°
Positions (direct):
Co 0.000 0.000 0.000
P 0.000 0.500 0.500
P 0.500 0.000 0.500
Ru 0.500 0.500 0.500
W 0.500 0.500 0.000

Properties
Energy relative to the elements ... 1.479 eV per atom
Space group ... P4/mmm

=====

energy relative to the elements of number 4 (UCo2P2Ru)?
-0.602 eV per atom

=====

Look up the energy relative to the elements of the eighth one.
1.479 eV per atom

=====

Which value of energy relative to the elements does entry 6 give?
-0.821 eV per atom

=====

Which of these has the lowest energy relative to the elements?
TmCoP2Ru